Del via


Applies to: check marked yes Databricks SQL check marked yes Databricks Runtime

Adds, modifies, or drops a column in a table or a field in a column in a Delta Lake table.

Required permissions

If you use Unity Catalog you must have MODIFY permission to:


All other operations require ownership of the table.


ALTER TABLE table_name
   { ADD COLUMN clause |
     ALTER COLUMN clause |
     DROP COLUMN clause |
     RENAME COLUMN clause }


This clause is not supported for JDBC data sources.

Adds one or more columns to the table, or fields to existing columns in a Delta Lake table.


When you add a column to an existing Delta table, you cannot define a DEFAULT value. All columns added to Delta tables are treated as NULL for existing rows. After adding a column, you can optionally define a default value for the column, but this is only applied for new rows inserted into the table. Use the following syntax:

ALTER TABLE table_name ALTER COLUMN column_name SET DEFAULT default_expression


  ( { { column_identifier | field_name } data_type
      [ COLLATE collation_name ]
      [ DEFAULT clause ]
      [ COMMENT comment ]
      [ FIRST | AFTER identifier ]
      [ MASK clause ] } [, ...] ) }


  • column_identifier

    The name of the column to be added. The name must be unique within the table.

    Unless FIRST or AFTER name are specified the column or field will be appended at the end.

  • field_name

    The fully qualified name of the field to be added to an existing column. All components of the path to the nested field must exist and the field name itself must be unique.

  • DEFAULT default_expression

    Applies to: check marked yes Databricks SQL check marked yes Databricks Runtime 11.3 LTS and above

    Defines a DEFAULT value for the column which is used on INSERT and MERGE ... INSERT when the column is not specified. Any STRING literals and STRING functions in the default expression will use UTF8_BINARY collation.

    If no default is specified, DEFAULT NULL is implied for nullable columns.

    default_expression may be composed of literals, and built-in SQL functions or operators except:

    default_expression must not contain any subquery.

    DEFAULT is supported for CSV, JSON, PARQUET, and ORC sources.

  • data_type

    Specifies the data type of the column or field. Not all data types supported by Azure Databricks are supported by all data sources.

  • COLLATE collation_name

    For data_type STRING optionally specifies the collation to use with the column or field. If not specified the UTF8_BINARY collation applies.

  • COMMENT comment

    An optional STRING literal describing the added column or field.

    If you want to add an AI-generated comment for a table or table column managed by Unity Catalog, see Add AI-generated comments to Unity Catalog objects.


    If specified the column will be added as the first column of the table, or the field will be added as the first field of in the containing struct.

  • AFTER identifier

    If specified the column or field will be added immediately after the field or column identifier.

  • MASK clause

    Applies to: check marked yes Databricks SQL check marked yes Databricks Runtime 12.2 LTS and above check marked yes Unity Catalog only


    This feature is in Public Preview.

    Adds a column mask function to anonymize sensitive data. All subsequent queries from that column will receive the result of evaluating that function over the column in place of the column’s original value. This can be useful for fine-grained access control purposes where the function can inspect the identity or group memberships of the invoking user to determine whether to redact the value.


Applies to: check marked yes Databricks SQL check marked yes Databricks Runtime

Changes a property or the location of a column.


{ { ALTER | CHANGE } [ COLUMN ] { column_identifier | field_name }
  { COMMENT comment |
    { FIRST | AFTER column_identifier } |
    { SET | DROP } NOT NULL |
    TYPE data_type |
    SET DEFAULT clause |
    SET { MASK clause } |
    SET TAGS clause |
    UNSET TAGS clause } }


  • column_identifier

    The name of the column to be altered.

  • field_name

    The fully qualified name of the field to be altered. All components of the path to the nested field must exist.

  • COMMENT comment

    Changes the description of the column_name column. comment must be a STRING literal.

  • FIRST or AFTER identifier

    Moves the column from its current position to the front (FIRST) or immediately AFTER the identifier. This clause is only supported if table_name is a Delta table.

  • TYPE data_type

    Applies to: check marked yes Databricks SQL check marked yes Databricks Runtime 15.2 and above

    Changes the data type of the column_name column.

    This clause is only supported if table_name is a Delta table.

    The following type changes are supported for all Delta tables:

    • Increasing the size of a VARCHAR column, for example, from VARCHAR(5) to VARCHAR(10)
    • Changing the type of a CHAR column to a VARCHAR, for example, from CHAR(5) to VARCHAR(5)
    • Changing the type of a CHAR or VARCHAR column to STRING, for example, from VARCHAR(10) to STRING.

    The following type changes are supported for Delta tables with delta.enableTypeWidening set to true:

____________
Entry from Alexandria via LeMat-Bulk: Ca2NiB2O6 after structural relaxation (GGA+U).

total DFT energy (no corrections): -6.87 eV per atom
N(E_F): 0.00 states/eV/cell

abc: 5.1899 5.1899 5.6146
angles: 90.00 90.00 120.00
Fractional coordinates of all 11 atoms:
Ca1 0.3333 0.6667 0.2997
Ca2 0.6667 0.3333 0.7003
Ni1 0.0000 0.0000 0.0000
B1 0.3333 0.6667 0.7890
B2 0.6667 0.3333 0.2110
O1 0.1141 0.3706 0.7781
O2 0.2565 0.8859 0.7781
O3 0.3706 0.2565 0.2219
O4 0.6294 0.7435 0.7781
O5 0.7435 0.1141 0.2219
O6 0.8859 0.6294 0.2219


(1)
DFT (PBE) results for an optimized crystal structure of Zr4ScCu.

Summary:
Energy of formation (eV/atom): 0.095
V (Å³/cell): 252.6

a b c (Å): 4.9000 10.5514 4.8865
angles (deg): 90.00 90.00 90.00
Space group Amm2 (No. 38)
Inequivalent atoms, fractional coordinates:
Zr 0.0000 0.1538 0.0000 (multiplicity 4)
Zr 0.5000 0.1664 0.5051 (multiplicity 4)
Sc 0.5000 0.0000 0.0068 (multiplicity 2)
Cu 0.0000 0.0000 0.5004 (multiplicity 2)

***

(2)
DFT (PBE) results for an optimized crystal structure of CdIrOs2.

Summary:
Energy of formation (eV/atom): 0.768
V (Å³/cell): 251.6

a b c (Å): 6.3133 6.3133 6.3133
angles (deg): 90.00 90.00 90.00
Space group F-43m (No. 216)
Inequivalent atoms, fractional coordinates:
Cd 0.0000 0.0000 0.0000 (multiplicity 4)
Ir 0.2500 0.2500 0.2500 (multiplicity 4)
Os 0.0000 0.0000 0.5000 (multiplicity 4)
Os 0.2500 0.2500 0.7500 (multiplicity 4)

***

(3)
DFT (PBE) results for an optimized crystal structure of BaZnAgSb2.

Summary:
Total energy (eV per formula unit): -16.46
V (Å³/cell): 574.9

a b c (Å): 4.6161 17.9792 6.9265
angles (deg): 90.00 90.00 90.00
Space group Cmc2_1 (No. 36)
Inequivalent atoms, fractional coordinates:
Ba 0.0000 0.1448 0.0000 (multiplicity 4)
Zn 0.0000 0.3531 0.9036 (multiplicity 4)
Ag 0.0000 0.0514 0.5420 (multiplicity 4)
Sb 0.0000 0.2100 0.5106 (multiplicity 4)
Sb 0.0000 0.4973 0.7601 (multiplicity 4)

***

(4)
DFT (PBE) results for an optimized crystal structure of Co3PdPt4.

Summary:
Energy of formation (eV/atom): -0.067
V (Å³/cell): 224.2

a b c (Å): 7.6009 7.7151 3.8240
angles (deg): 90.00 90.00 90.00
Space group Cmmm (No. 65)
Inequivalent atoms, fractional coordinates:
Co 0.0000 0.0000 0.0000 (multiplicity 2)
Co 0.0000 0.2465 0.5000 (multiplicity 4)
Pd 0.0000 0.5000 0.0000 (multiplicity 2)
Pt 0.2369 0.0000 0.5000 (multiplicity 4)
Pt 0.2500 0.2500 0.0000 (multiplicity 4)

***

(5)
DFT (PBE) results for an optimized crystal structure of YCoAsPt.

Summary:
Total energy (eV per formula unit): -25.70
V (Å³/cell): 287.8

a b c (Å): 6.6021 6.6021 6.6021
angles (deg): 90.00 90.00 90.00
Space group F-43m (No. 216)
Inequivalent atoms, fractional coordinates:
Y 0.0000 0.0000 0.0000 (multiplicity 4)
Co 0.0000 0.0000 0.5000 (multiplicity 4)
As 0.2500 0.2500 0.2500 (multiplicity 4)
Pt 0.2500 0.2500 0.7500 (multiplicity 4)

***

(6)
DFT (PBE) results for an optimized crystal structure of BeAg2Pb.

Summary:
Total energy (eV per formula unit): -11.32
V (Å³/cell): 298.0
____________
### Here the entry continues


    This feature is in Public Preview in Databricks Runtime 15.2 and above.

    Source type Supported wider types
    DECIMAL DECIMAL with greater precision and scale

    For more detailed information on type widening, see Type widening.


    Changes the domain of valid column values to exclude nulls SET NOT NULL, or include nulls DROP NOT NULL. This option is only supported for Delta Lake tables. Delta Lake will ensure the constraint is valid for all existing and new data.


    Applies to: check marked yes Databricks SQL check marked yes Databricks Runtime 10.4 LTS and above

    Synchronize the metadata of an identity column with the actual data. When you write your own values to an identity column, it might not comply with the metadata. This option evaluates the state and updates the metadata to be consistent with the actual data. After this command, the next automatically assigned identity value will start from start + (n + 1) * step, where n is the smallest value that satisfies start + n * step >= max() (for a positive step).

    This option is only supported for identity columns on Delta Lake tables.


    Applies to: check marked yes Databricks SQL check marked yes Databricks Runtime 11.3 LTS and above

    Removes the default expression from the column. For nullable columns this is equivalent to SET DEFAULT NULL. For columns defined with NOT NULL you need to provide a value on every future INSERT operation

  • SET DEFAULT default_expression

    Applies to: check marked yes Databricks SQL check marked yes Databricks Runtime 11.3 LTS and above

    Defines a DEFAULT value for the column which is used on INSERT and MERGE ... INSERT when the column is not specified.

    If no default is specified DEFAULT NULL is implied for nullable columns.

    default_expression may be composed of literals, built-in SQL functions, or operators except:

    default_expression must not contain a subquery.

    DEFAULT is supported for CSV, JSON, ORC, and PARQUET sources.

    When you define the default for a newly added column, the default applies to all pre-existing rows. If the default includes a non-deterministic function such as rand or current_timestamp the value is computed once when the ALTER TABLE is executed, and applied as a constant to pre-existing rows. For newly inserted rows, the default expression runs once per rows.

    When you set a default using ALTER COLUMN, existing rows are not affected by that change.

  • SET MASK clause

    Applies to: check marked yes Databricks SQL check marked yes Databricks Runtime 12.2 LTS and above check marked yes Unity Catalog only


    This feature is in Public Preview.

    Adds a column mask function to anonymize sensitive data. All subsequent queries from that column will receive the result of evaluating that function over the column in place of the column’s original value. This can be useful for fine-grained access control purposes where the function can inspect the identity or group memberships of the invoking user to determine whether to redact the value.


    Applies to: check marked yes Unity Catalog only


    This feature is in Public Preview.

    Removes the column mask for this column, if any. Future queries from this column will receive the column’s original values.

  • SET TAGS ( { tag_name = tag_value } [, ...] )

    Applies to: check marked yes Databricks SQL check marked yes Databricks Runtime 13.3 LTS and above

    Apply tags to the column. You need to have APPLY TAG permission to add tags to the column.

    • tag_name

      A literal STRING. The tag_name must be unique within the table or column.

    • tag_value

      A literal STRING.

  • UNSET TAGS ( tag_name [, ...] )

    Applies to: check marked yes Databricks SQL check marked yes Databricks Runtime 13.3 LTS and above

    Remove tags from the column. You need to have APPLY TAG permission to remove tags from the column.

    • tag_name

      A literal STRING. The tag_name must be unique within the table or column.



This feature is in Public Preview.

Applies to: check marked yes Databricks SQL check marked yes Databricks Runtime 11.3 LTS and above

Drop one or more columns or fields in a Delta Lake table.

When you drop a column or field, you must drop dependent check constraints and generated columns.

For requirements, see Rename and drop columns with Delta Lake column mapping.


DROP [COLUMN | COLUMNS] [ IF EXISTS ] ( { {column_identifier | field_name} [, ...] )



    When you specify IF EXISTS, Azure Databricks ignores an attempt to drop columns that do not exist. Otherwise, dropping non-existing columns will cause an error.

  • column_identifier

    The name of the existing column.

  • field_name

    The fully qualified name of an existing field.



This feature is in Public Preview.

Applies to: check marked yes Databricks SQL check marked yes Databricks Runtime 10.4 LTS and above

Renames a column or field in a Delta Lake table enabled for column mapping.

When you rename a column or field you also need to change dependent check constraints and generated columns. Any primary keys and foreign keys using the column will be dropped. In case of foreign keys you must own the table on which the foreign key is defined.

For requirements, and how to enable column mapping see Rename and drop columns with Delta Lake column mapping.


RENAME COLUMN { column_identifier TO to_column_identifier|
                field_name TO to_field_identifier }



See ALTER TABLE examples.